& Me: A Polar Survival Story

Crystal structures from another source follow:
-- begin --
*a*
SmBiO after structural relaxation. Source: Alexandria via LeMat-Bulk, functional PBE-GGA.

a b c (Å): 3.6847 3.6847 20.0665
angles (deg): 90.00 90.00 120.00
Space group R3m (No. 160, hexagonal axes)
Asymmetric unit:
Sm 0.0000 0.0000 0.0000 [3 per cell]
Bi 0.0000 0.0000 0.8138 [3 per cell]
O 0.0000 0.0000 0.6361 [3 per cell]

The value obtained for the density of states at the Fermi level is 0.548 states/eV per atom.

*b*
SmBiO after structural relaxation. Source: Alexandria via LeMat-Bulk, functional PBE-GGA.

a b c (Å): 3.9243 3.9243 10.7569
angles (deg): 90.00 90.00 120.00
Space group P-3m1 (No. 164)
Asymmetric unit:
Sm 0.3333 0.6667 0.3628 [2 per cell]
Bi 0.3333 0.6667 0.8960 [2 per cell]
O 0.3333 0.6667 0.5834 [2 per cell]

The value obtained for the density of states at the Fermi level is 0.414 states/eV per atom.

*b* wins, 8.2 kJ/mol of atoms ahead of the next structure.
-- stop --

Grade Level: Grades 4-8 Time: Power Point: 15 minutes.

© BJ Kirschhoffer Activities 1 and 2: Two 50-minute class periods.

plant in the female’s uterus (delayed im- ger period for polar . Less Materials plantation) until early fall, after she has time on the ice to hunt will lead to the gained sufficient weight for a successful inability of females bears to gain ample For Activity 1: pregnancy. This delay gives her time to weight for successful pregnancies, thus ❐❐ Copies of Mom and Me: A fatten up on seal . Females of- prohibiting the species’ ability to sus- Polar Bear Crossword Puzzle ten gain more than 400 lbs. during their tain itself. ❐❐ Computers with Internet short hunting season, allowing them to access (or copies of mini- fast for up to eight months. posters) Teacher Prep Notes ❐❐ Pencils and erasers Female polar bears enter their materni- By reading the background informa- ty dens by mid- to late-October and give tion, students should recognize the For Activity 2: birth between November and January. connection between polar bear sur- ❐❐ Copies of Graph A (Break-up They spend the next few months nurs- vival and ice. This lesson contains Dates 1979-2007) ing their cubs up to six times a day several activities. All activities will take ❐❐ Copies of Graph B (Lone and remain in their dens through 1-2 hours. Print the Mom and Me: Female Body Mass, 1980- March or April to protect their cubs A Polar Bear Crossword Puzzle PDF 2007) from the coldest temperatures of win- and mini-posters from the Polar Bears ❐ ❐ Copies of Polar Bear ter. Newborns are 12 to 14 inches long International (PBI) website: Ecoregions Map (optional) (30–35 cm) and weigh little more than polarbearsinternational.org/education/ one pound (0.5 kg), but grow rapidly educational-tools-and-materials. Also from their mother’s rich, 33%-fat milk. print Graphs A and B (Break-up Dates Key Words When the family group finally emerges 1979-2007 and Lone Female Body Addressed in Mom and Me: A from its den, the mother stays nearby Mass, 1980-2007) and the Polar Bear Polar Bear Crossword Puzzle until her cubs develop the strength to Ecoregions Map. Familiarize yourself walk long distances. Mothers can then with the PBI website addresses identi- break their long fast and lead their cubs fied in the lesson. Use the questions Objective onto the ice to hunt seals. listed in Activity 2 to create a worksheet for students to analyze graphs A and B. Students will learn about the connec- Solid food comes when cubs are three tion between mother polar bears and or four months old and the mother cubs through an interactive explora- makes her first kill of the spring. Ringed tion of the Polar Bears International seals—the primary food source of the website. Students will also discover the polar bear—rest at breathing holes, connection between polar bear survival cracks, or on the surface of the ice. The and . They will analyze this con- mother’s success at hunting is both crit- nection through a graph analysis activ- ical for her own needs and for modeling ity, comparing two graphs—one show- the hunting behavior her cubs will need ing female polar bear weights and the to learn to find food for themselves. other showing sea ice coverage. As long as there is sea ice, these areas are also accessible to the polar bears. Background Information Although there has always been loss of Female polar bears prepare to raise sea ice during the warmest months of the year, the current overall decrease their young long before they give birth. © BJ Kirschhoffer Mating takes place on the ice in April or in sea ice and the early break up and May, but the fertilized egg will not im- later freeze up is translating into a lon-

Data records from another source follow:
********
No. 1
Material: KPdF
Method: DFT, PBE-GGA
State: optimized geometry

Cell lengths 4.206, 4.206, 4.035 Å; angles 90.00, 90.00, 120.00 degrees
Fractional coordinates of all 3 atoms:
K 0.000 0.000 0.000
Pd 0.667 0.333 0.500
F 0.333 0.667 0.500

Computed properties:
The energy relative to the elements, uncorrected comes out at -0.771 eV per atom. The value obtained for the theoretical density is 4.4 Mg/m³.

=====

No. 2
Material: KPdF
Method: DFT, PBE-GGA
State: optimized geometry

Cell lengths 4.624, 4.624, 7.482 Å; angles 108.25, 108.25, 60.24 degrees
Fractional coordinates of all 6 atoms:
K 0.000 0.000 0.000
K 0.209 0.209 0.616
Pd 0.439 0.439 0.308
Pd 0.773 0.773 0.310
F 0.336 0.336 0.005
F 0.541 0.541 0.609

Computed properties:
The energy relative to the elements, uncorrected comes out at -1.242 eV per atom. The value obtained for the theoretical density is 4.2 Mg/m³.

=====

No. 3
Material: KPd2F7
Method: DFT, PBE-GGA
State: optimized geometry

Cell lengths 6.938, 6.938, 4.042 Å; angles 90.00, 90.00, 125.09 degrees
Fractional coordinates of all 10 atoms:
K 0.000 0.000 0.000
Pd 0.334 0.666 0.500
Pd 0.666 0.334 0.500
F 0.043 0.344 0.500
F 0.318 0.682 0.000
F 0.344 0.043 0.500
F 0.500 0.500 0.500
F 0.656 0.957 0.500
F 0.682 0.318 0.000
F 0.957 0.656 0.500

Computed properties:
The energy relative to the elements, uncorrected comes out at -1.542 eV per atom. The value obtained for the theoretical density is 4.0 Mg/m³.

=====

No. 4
Material: K2PmPd3F12
Method: DFT, PBE-GGA
State: optimized geometry

Cell lengths 7.080, 7.080, 7.080 Å; angles 71.65, 71.65, 71.65 degrees
Fractional coordinates of all 18 atoms:
K 0.133 0.133 0.133
K 0.867 0.867 0.867
Pm 0.500 0.500 0.500
Pd 0.000 0.500 0.500
Pd 0.500 0.000 0.500
Pd 0.500 0.500 0.000
F 0.126 0.632 0.632
F 0.247 0.247 0.580
F 0.247 0.580 0.247
F 0.368 0.368 0.874
F 0.368 0.874 0.368
F 0.420 0.753 0.753
F 0.580 0.247 0.247
F 0.632 0.126 0.632
F 0.632 0.632 0.126
F 0.753 0.420 0.753
F 0.753 0.753 0.420
F 0.874 0.368 0.368

Computed properties:
The energy relative to the elements, uncorrected comes out at -2.152 eV per atom. The value obtained for the theoretical density is 4.1 Mg/m³.

=====

No. 5
Material: KPdPtF6
Method: DFT, PBE-GGA
State: optimized geometry

Cell lengths 7.565, 7.565, 7.565 Å; angles 124.61, 116.78, 88.94 degrees
Fractional coordinates of all 18 atoms:
K 0.415 0.165 0.250
K 0.585 0.835 0.750
Pd 0.000 0.000 0.500
Pd 0.000 0.500 0.000
Pt 0.000 0.500 0.500
Pt 0.500 0.500 0.000
F 0.096 0.846 0.250
F 0.172 0.434 0.348
F 0.172 0.824 0.738
F 0.184 0.434 0.750
F 0.414 0.176 0.848
F 0.414 0.566 0.238
F 0.586 0.434 0.762
F 0.586 0.824 0.152
F 0.816 0.566 0.250
F 0.828 0.176 0.262
F 0.828 0.566 0.652
F 0.904 0.154 0.750

Computed properties:
The energy relative to the elements, uncorrected comes out at -1.543 eV per atom. The value obtained for the theoretical density is 5.0 Mg/m³.

=====

No. 6
Material: K2RbPdF5
Method: DFT, PBE-GGA
State: optimized geometry
********

www.polarbearsinternational.org | POLAR BEARS INTERNATIONAL 1 Activity 1: Polar Bear Crossword Puzzle

H D 3P To Do: 4 B L U REBB 5 B L CA K 1. Have students watch the All M L P About Polar Bears PowerPoint 6 appropriate to their grade level A A I I for an engaging introduction 7 8 NEDYTINRETAM L C to the polar bear world (polar- SW E L E bearsinternational.org/education/ O educational-tools-and-materials). D A F 9 1. Give each student a copy of Mom EGNIR D SLAES 10 11 and Me: A Polar Bear Crossword SYOC M O Puzzle. Have students explore the U P E Polar Bears International website B L 12G (www.polarbearsinternational.org/ 13 polar-bears/faq) to complete the O A A E puzzle. N D N S 14L 15 1. If students do not have Internet E U T EERHT access, photocopy the mini- P L A A A posters to use in pairs or small T T T groups to complete the puzzle. O D 16 You may find mini-posters at: SUMITIRAMSUSRU www.polarbearsinternational.org/ N O O polar-bears/faq 17 YBBED 18 EE NTENIN

Across Down 4 Polar bears do not have this, but they eat it. 1 The polar bear’s only enemy. 5 The color of a polar bear’s skin. 2 Used in reproduction to time the birth of cubs during the most favorable conditions for survival 7 A snow cave where cubs are born cubs (two (two words). words). 3 Small bumps that keep polar bears from slipping 9 Polar bears’ favorite food (two words). on ice. 10 What cubs are called. 6 A flat sheet of ice floating in the sea (two words). 15 Number of months a female polar bear stays in 8 Number of cubs a polar bear mom tyipcally has. the den to give birth. 11 What polar bears are called after they leave their 16 The species name for “polar bear” (two words). mothers between the age of 2 to 2-1/2 years old. 17 A bear that lived to be 42 years old! 12 What the period of time a female polar bear is 18 Number of different bear populations in the pregnant is called. . 13 The weight of a newborn cub (two words). 14 Openings in the sea ice.

www.polarbearsinternational.org | POLAR BEARS INTERNATIONAL 2 Mom & Me: A Polar Bear Crossword Puzzle


4 5


7 8


10 11






17 18

Across Down 4 Polar bears do not have this, but they eat it. 1 The polar bear’s only enemy. 5 The color of a polar bear’s skin. 2 Used in reproduction to time the birth of cubs during the most favorable conditions for survival 7 A snow cave where cubs are born cubs (two (two words). words). 3 Small bumps that keep polar bears from slipping 9 Polar bears’ favorite food (two words). on ice. 10 What cubs are called. 6 A flat sheet of ice floating in the sea (two words). 15 Number of months a female polar bear stays in 8 Number of cubs a polar bear mom tyipcally has. the den to give birth. 11 What polar bears are called after they leave their 16 The species name for “polar bear” (two words). mothers between the age of 2 to 2-1/2 years old. 17 A zoo bear that lived to be 42 years old! 12 What the period of time a female polar bear is 18 Number of different bear populations in the pregnant is called. Arctic. 13 The weight of a newborn cub (two words). 14 Openings in the sea ice.

www.polarbearsinternational.org | POLAR BEARS INTERNATIONAL 3 Activity 2: Polar Bears Need Sea Ice! Graph Analysis

1. With your students, define, discuss and locate ❐❐ List several ways this earlier ice break-up sea ice on the Polar Bear Ecoregions Map. negatively affects polar bears. 2. Look at Graph A, Break-Up Dates 1979-2007. a. Polar bears hunt ringed seals from the As a group, ask students to make observations sea ice. Earlier break-up means less and share what they notice in Graph A. Consider hunting time. creating a worksheet that includes some of the b. Less hunting time means bears are following questions: unable to gain the weight they need for ❐❐ In 1980, about when did the ice begin to their winter fast. break up? (Answer: June 30) c. Weight gain for females is essential ❐❐ In 2005, when did the ice begin to break up? because they are hunting both for (Answer: June 18th) themselves and their cubs. ❐ ❐ Is the ice breaking up sooner or later each d. Earlier ice break-up means bears are year? (Answer: Sooner) losing their habitat and coming ashore ❐❐ What do you think may be causing the ice to earlier, potentially creating a human/ break up earlier each year? wildlife conflict. GRAPH A: BREAK-UP DATES 1979-2007 13-Jul




15-Jun Date of sea ice break-up Date


01-Jun 1980 1985 1990 1995 2000 2005 2010 Year Date of break-up of the sea ice used by the Western polar bear population, from 1979-2007. (From Stirling and Lunn 1999 and Lunn and Stirling unpublished data).

3. Look at Graph B: Female Polar Bear Body Mass, ❐❐ What was the average weight of a female 1980-2007. This graph shows a steady decline polar bear in 1980? (Answer: 300kg) in average female polar bear body mass and ❐❐ What was the average weight of a female weight over time. Use the following questions to polar bear in 2005? (Answer: 225kg) create a worksheet or lead a discussion: ❐❐ How much lighter were polar bears in 2005 than they were in 1980? (Answer: 75kg) www.polarbearsinternational.org | POLAR BEARS INTERNATIONAL 4 Activity 2: Graph Analysis (continued)




250 female polar bears

200 Mean body mass (kg) of lone adult Mean

150 1980 1985 1990 1995 2000 2005 Year

Mean estimated mass of lone (and thus likely pregnant) adult female bears in the fall in Western Hudson Bay from 1980 through 2004 (dashed line indicates fit of linear regression) (from Stirling and Parkinson 2006.Arctic 59: 261-275)

❐❐ What negative effect does lighter body mass b. Less hunting time leads to less weight have on a polar bear? gain and lower body mass, which in turn a. Less weight gain for females makes it leads to lower reproduction rates and harder to reproduce and nurse cubs. cub survival and a declining population. This leads to the birth of fewer cubs and 5. Critical Thinking: What do you think is causing a lower survival rate. this? Earlier ice break-up dates are due to overall b. Few cubs surviving leads to a decline in . Temperatures have risen in the the polar bear population. Arctic every decade since 1950. These increased temperatures have led to the ice breaking up c. Lower body weight and fat reserves earlier on average, greatly impacting the survival make travel back to the ice very difficult of the bears. Overall we can see that sea ice loss for mother bears after emerging from due to climate change is altering weight gain their dens. They have less stored energy of polar bears. This is especially important for to walk long distances and less energy female polar bears as they have to increase body to hunt and kill seals for themselves and mass for successful reproduction. Additionally, if their cubs. bears have to travel farther out to sea in search of food, it makes it more difficult to mate and d. Thin and hungry bears are tempted therefore reproduce, further threatening the to seek food in settlements causing decline of the species. potential harm to humans, property, and themselves. 6. Taking it Further: Make the connection between climate change and human actions. 4. Compare graphs: What actions can students take to help a. Earlier ice break-up leads to less hunting polar bears and their Arctic habitat? To learn time for the bears. “How To Live Greener” use the Polar Bears International website as a resource: www. polarbearsinternational.org/.

www.polarbearsinternational.org | POLAR BEARS INTERNATIONAL 5 GRAPH A: BREAK-UP DATES 1979-2007 13-Jul




15-Jun Date of sea ice break-up Date


01-Jun 1980 1985 1990 1995 2000 2005 2010 Year Date of break-up of the sea ice used by the Western Hudson Bay polar bear population, from 1979-2007. (From Stirling and Lunn 1999 and Lunn and Stirling unpublished data).




250 female polar bears

200 Mean body mass (kg) of lone adult Mean

150 1980 1985 1990 1995 2000 2005 Year

Mean estimated mass of lone (and thus likely pregnant) adult female bears in the fall in Western Hudson Bay from 1980 through 2004 (dashed line indicates fit of linear regression) (from Stirling and Parkinson 2006.Arctic 59: 261-275) POLAR BEAR ECOREGIONS MAP

Map of four polar bear ecoregions defined by grouping recognized subpopulations which share seasonal patterns of ice motion and distribution. The polar basin divergent ecoregion (yellow) includes Southern (SBS), (CS), (LVS), Kara Sea (KS), and the (BS). The polar basin convergent ecoregion (PBCE) (green) in- cludes East (EG), and Northern Beaufort Sea (NBS). The seasonal ice ecoregion (red) includes southern Hudson Bay (SHB), western Hudson Bay (WHB), (FB), Davis Strait (DS), and (BB). The archipelago ecoregion (orange) includes Guls of Boothia (GB), M’Clintock Channel (MC), (LS), Viscount-Melville Sound (VM), Norwegian Bay (NW), and (KB). Based on Amstrup et al. 2008 Geophysical Monograph 180, American Geophysical Union, Washington, D.C.) (Graphic: Evan Richardson)

Materials data, kept here for reference:
- - -
No. 1
Computed, not measured: a geometry-optimized CaCl3 structure at the PBE level of DFT.

a = 4.5047 Å, b = 4.5047 Å, c = 4.5047 Å
α = 90.00°, β = 90.00°, γ = 90.00°
Fractional positions:
Ca (0.0000, 0.0000, 0.0000)
Cl (0.0000, 0.5000, 0.5000)
Cl (0.5000, 0.0000, 0.5000)
Cl (0.5000, 0.5000, 0.0000)

Properties
Raw formation energy: -1.2867 eV per atom
Total DFT energy (no corrections): -3.17 eV per atom

No. 2
Computed, not measured: a geometry-optimized Ca2Cl structure at the PBE level of DFT.

a = 9.5280 Å, b = 9.5280 Å, c = 3.7958 Å
α = 90.00°, β = 90.00°, γ = 120.00°
Fractional positions:
Ca (0.0000, 0.2361, 0.0000)
Ca (0.0000, 0.5748, 0.5000)
Ca (0.2361, 0.0000, 0.0000)
Ca (0.4252, 0.4252, 0.5000)
Ca (0.5748, 0.0000, 0.5000)
Ca (0.7639, 0.7639, 0.0000)
Cl (0.0000, 0.0000, 0.5000)
Cl (0.3333, 0.6667, 0.0000)
Cl (0.6667, 0.3333, 0.0000)

Properties
Raw formation energy: -0.7713 eV per atom
Total DFT energy (no corrections): -2.72 eV per atom
Distance to the lowest polymorph of the same formula: 274 meV per atom

No. 3
Computed, not measured: a geometry-optimized CaCl5 structure at the PBE level of DFT.

a = 5.1692 Å, b = 5.1692 Å, c = 8.0803 Å
α = 90.00°, β = 90.00°, γ = 120.00°
Fractional positions:
Ca (0.0000, 0.0000, 0.0000)
Cl (0.0000, 0.5000, 0.5000)
Cl (0.3333, 0.6667, 0.0000)
Cl (0.5000, 0.0000, 0.5000)
Cl (0.5000, 0.5000, 0.5000)
Cl (0.6667, 0.3333, 0.0000)

Properties
Raw formation energy: -0.7323 eV per atom
Total DFT energy (no corrections): -2.60 eV per atom
Distance to the lowest polymorph of the same formula: 312 meV per atom

No. 4
Computed, not measured: a geometry-optimized CaCl3 structure at the PBE level of DFT.

a = 7.5763 Å, b = 16.4808 Å, c = 3.8883 Å
α = 90.00°, β = 90.00°, γ = 90.00°
Fractional positions:
Ca (0.0000, 0.1317, 0.2500)
Ca (0.0000, 0.8683, 0.7500)
Ca (0.5000, 0.3683, 0.7500)
Ca (0.5000, 0.6317, 0.2500)
Cl (0.0000, 0.2487, 0.7500)
Cl (0.0000, 0.7513, 0.2500)
Cl (0.2359, 0.0791, 0.7500)
Cl (0.2359, 0.9209, 0.2500)
Cl (0.2641, 0.4209, 0.2500)
Cl (0.2641, 0.5791, 0.7500)
Cl (0.5000, 0.2513, 0.2500)
Cl (0.5000, 0.7487, 0.7500)
Cl (0.7359, 0.4209, 0.2500)
Cl (0.7359, 0.5791, 0.7500)
Cl (0.7641, 0.0791, 0.7500)
Cl (0.7641, 0.9209, 0.2500)

Properties
Raw formation energy: -1.4829 eV per atom
Total DFT energy (no corrections): -3.37 eV per atom

No. 5
Computed, not measured: a geometry-optimized CaCl structure at the PBE level of DFT.

a = 7.9526 Å, b = 7.9551 Å, c = 7.9971 Å
α = 90.00°, β = 90.00°, γ = 90.00°
Fractional positions:
Ca (0.1125, 0.1738, 0.3129)
Ca (0.1502, 0.4102, 0.8817)
Ca (0.3498, 0.5898, 0.3817)
Ca (0.3875, 0.8262, 0.8129)
Ca (0.6125, 0.3262, 0.6871)
Ca (0.6502, 0.0898, 0.1183)
Ca (0.8498, 0.9102, 0.6183)
Ca (0.8875, 0.6738, 0.1871)
Cl (0.0300, 0.7403, 0.8706)
Cl (0.2252, 0.8922, 0.5063)
Cl (0.2748, 0.1078, 0.0063)
Cl (0.4700, 0.2597, 0.3706)
Cl (0.5300, 0.7597, 0.1294)
Cl (0.7252, 0.6078, 0.4937)
Cl (0.7748, 0.3922, 0.9937)
Cl (0.9700, 0.2403, 0.6294)

Properties
- - -

www.polarbearsinternational.org | POLAR BEARS INTERNATIONAL 7